Wisdom Nuggets: RFPs

On one level or another, this has probably happened to me, and I didn’t realize it. Or, maybe I did, and just didn’t give it the credence it deserved. I gave away my work. For free.
But, it’s not what you think. A friend didn’t ask for a favor. I wasn’t doing someone else a kindness. I was trying to win business. Against friends. Granted these friends are technically considered my competition. But, we share laughs. We share horror stories. We share bar tabs. We also might covet each other’s clients.
What am I talking about? RFPs. Requests For Proposals are the craziest thing that seems to be accepted in our industry.
First, someone puts together a document comprised of an insane set of requirements. These requirements might be to tell them who is going to be on the team working on their projects. How are we to even know? What are these projects? Then, they give a listing of vague notions you have to interpret. There’s no legitimate discovery process. Frankly, you’re researching in a vacuum. What if you’re wrong?
It gets better! Not only do they ask some seemingly invasive questions, like how much profit are you going to make off of them hiring you. All of it, right?
[Crystal structures from another source follow]
- - -
# 1
An optimized crystal structure of Sc3Fe2Si3. Source: Materials Project, functional r2SCAN.

Cell lengths 3.938, 9.881, 12.848 Å; angles 90.00, 90.00, 90.00 degrees
Space group Cmcm (No. 63)
Symmetry-distinct sites (fractional):
Sc: 0.000 0.082 0.112 (multiplicity 8)
Sc: 0.000 0.363 0.250 (multiplicity 4)
Fe: 0.000 0.214 0.582 (multiplicity 8)
Si: 0.000 0.327 0.750 (multiplicity 4)
Si: 0.000 0.382 0.040 (multiplicity 8)

Calculated values
E_form = -14.66 kcal/mol of atoms
E_tot = -11.804 eV/atom



# 2
An optimized crystal structure of Sc2FeSi2. Source: Materials Project, functional r2SCAN.

Cell lengths 9.846, 3.979, 9.396 Å; angles 90.00, 118.75, 90.00 degrees
Space group C2/m (No. 12)
Symmetry-distinct sites (fractional):
Sc: 0.001 0.000 0.329 (multiplicity 4)
Sc: 0.185 0.000 0.108 (multiplicity 4)
Fe: 0.230 0.500 0.375 (multiplicity 4)
Si: 0.006 0.500 0.873 (multiplicity 4)
Si: 0.148 0.500 0.565 (multiplicity 4)

Calculated values
E_form = -15.85 kcal/mol of atoms
E_tot = -11.639 eV/atom



# 3
An optimized crystal structure of ScFe6Sn6. Source: Materials Project, functional r2SCAN.

Cell lengths 5.3675, 5.3675, 8.9642 Å; angles 90.00, 90.00, 120.00 degrees
Space group P6/mmm (No. 191)
Symmetry-distinct sites (fractional):
Sc: 0.0000 0.0000 0.0000 (multiplicity 1)
Fe: 0.0000 0.5000 0.2468 (multiplicity 6)
Sn: 0.0000 0.0000 0.3322 (multiplicity 2)
Sn: 0.3333 0.6667 0.0000 (multiplicity 2)
Sn: 0.3333 0.6667 0.5000 (multiplicity 2)

Calculated values
E_form = -1.23 kcal/mol of atoms
E_tot = -19.004 eV/atom



# 4
An optimized crystal structure of ThScFe6. Source: Materials Project, functional r2SCAN.

Cell lengths 5.0769, 5.0769, 49.1177 Å; angles 90.00, 90.00, 120.00 degrees
Space group R3m (No. 160, hexagonal axes)
Symmetry-distinct sites (fractional):
Th: 0.0000 0.0000 0.0000 (multiplicity 3)
Th: 0.0000 0.0000 0.0745 (multiplicity 3)
Th: 0.0000 0.0000 0.5693 (multiplicity 3)
Sc: 0.0000 0.0000 0.1434 (multiplicity 3)
Sc: 0.0000 0.0000 0.4985 (multiplicity 3)
Sc: 0.0000 0.0000 0.6404 (multiplicity 3)
Fe: 0.0000 0.0000 0.2362 (multiplicity 3)
Fe: 0.0000 0.0000 0.3199 (multiplicity 3)
Fe: 0.0000 0.0000 0.4053 (multiplicity 3)
Fe: 0.0000 0.0000 0.7381 (multiplicity 3)
Fe: 0.0000 0.0000 0.8209 (multiplicity 3)
Fe: 0.0000 0.0000 0.9034 (multiplicity 3)
Fe: 0.9997 0.4998 0.5278 (multiplicity 9)
Fe: 0.9996 0.4998 0.6116 (multiplicity 9)
Fe: 0.0009 0.5004 0.0298 (multiplicity 9)
Fe: 0.0007 0.5003 0.1138 (multiplicity 9)

Calculated values
E_form = -0.95 kcal/mol of atoms
E_tot = -21.460 eV/atom



# 5
An optimized crystal structure of YScFe4. Source: Materials Project, functional r2SCAN.

Cell lengths 7.214, 7.214, 7.214 Å; angles 90.00, 90.00, 90.00 degrees
Space group F-43m (No. 216)
- - -
[End of the crystal structures]
To make matters more fun, they expect you to deliver a shiny package for zero dollars. That’s right. They’re going to pay you exactly nothing to spend countless hours completing a turnkey campaign. If you’re lucky, you might get short-listed. Cool! You just got the opportunity to spend more of your own time and money to try to impress people who have no clue how to do your job. But, if they really love your design and your price is the lowest, they might choose you. Of course, if they love your design, and someone else has a better price, the RFP says they own your IP. Yeah. That’s right. By submitting your work, for free, they own it, for free. Did I mention you just spent dozens of hours and hundreds of dollars in hard costs with zero potential for remuneration?
So, what am I getting at?
-- Materials data from another source follow --
-- begin --
VASP calculation (PBE) on an optimized crystal structure of Li8ZrO6.

Cell lengths 5.7497, 5.7497, 10.9059 Å; angles 90.00, 90.00, 120.00 degrees
Last column: nearest neighbours and their distance in Å.
Atoms (fractional coordinates):
Li 0.0000 0.3240 0.0000  4 O 1.97-2.10, 1 Li 2.17
Li 0.0000 0.4093 0.3590  3 O 1.97-2.00, 1 Li 2.17
Li 0.0000 0.5907 0.8590  3 O 1.97-2.00, 1 Li 2.17
Li 0.0000 0.6760 0.5000  4 O 1.97-2.10, 1 Li 2.17
Li 0.3240 0.0000 0.0000  4 O 1.97-2.10, 1 Li 2.17
Li 0.3240 0.3240 0.5000  4 O 1.97-2.10, 1 Li 2.17
Li 0.3333 0.6667 0.1387  4 O 1.97-2.12
Li 0.3333 0.6667 0.6387  4 O 1.97-2.12
Li 0.4093 0.0000 0.3590  3 O 1.97-2.00, 1 Li 2.17
Li 0.4093 0.4093 0.8590  3 O 1.97-2.00, 1 Li 2.17
Li 0.5907 0.0000 0.8590  3 O 1.97-2.00, 1 Li 2.17
Li 0.5907 0.5907 0.3590  3 O 1.97-2.00, 1 Li 2.17
Li 0.6667 0.3333 0.1387  4 O 1.97-2.12
Li 0.6667 0.3333 0.6387  4 O 1.97-2.12
Li 0.6760 0.0000 0.5000  4 O 1.97-2.10, 1 Li 2.17
Li 0.6760 0.6760 0.0000  4 O 1.97-2.10, 1 Li 2.17
Zr 0.0000 0.0000 0.2263  4 O 1.99-2.01
Zr 0.0000 0.0000 0.7263  4 O 1.99-2.01
O 0.0000 0.0000 0.4110  1 Zr 2.01, 3 Li 2.10
O 0.0000 0.0000 0.9110  1 Zr 2.01, 3 Li 2.10
O 0.0000 0.3341 0.1802  4 Li 1.97-2.00, 1 Zr 1.99
O 0.0000 0.6659 0.6802  4 Li 1.97-2.00, 1 Zr 1.99
O 0.3333 0.6667 0.4445  7 Li 1.97-2.12
O 0.3333 0.6667 0.9445  7 Li 1.97-2.12
O 0.3341 0.0000 0.1802  4 Li 1.97-2.00, 1 Zr 1.99
O 0.3341 0.3341 0.6802  4 Li 1.97-2.00, 1 Zr 1.99
O 0.6659 0.0000 0.6802  4 Li 1.97-2.00, 1 Zr 1.99
O 0.6659 0.6659 0.1802  4 Li 1.97-2.00, 1 Zr 1.99
O 0.6667 0.3333 0.4445  7 Li 1.97-2.12
O 0.6667 0.3333 0.9445  7 Li 1.97-2.12

Summary:
**Formation energy from the elements**: -2.4086 eV per atom
**Space group**: P6_3cm, No. 185
**Relative energy among the computed polymorphs**: 0.814 eV/f.u.
**Spin magnetization**: 0.000 μB/f.u.
**DFT total energy**: -171.03 eV for the cell shown

=====

VASP calculation (PBE) on an optimized crystal structure of Ru5C14S2O14.

Cell lengths 8.8760, 14.7027, 20.6695 Å; angles 90.00, 107.04, 90.00 degrees
Last column: nearest neighbours and their distance in Å.
Atoms (fractional coordinates):
Ru 0.0137 0.2005 0.1109  3 C 1.89-1.95
Ru 0.0137 0.2995 0.6109  3 C 1.89-1.95
Ru 0.1564 0.1540 0.6924  2 C 1.86-1.87
Ru 0.1564 0.3460 0.1924  2 C 1.86-1.87
Ru 0.1829 0.2357 0.0212  3 C 1.90-1.93
Ru 0.1829 0.2643 0.5212  3 C 1.90-1.93
Ru 0.3326 0.1177 0.5996  2 C 1.86-1.87
Ru 0.3326 0.3823 0.0996  2 C 1.86-1.87
Ru 0.3817 0.0169 0.7171  4 C 1.91-1.96
Ru 0.3817 0.4831 0.2171  4 C 1.91-1.96
Ru 0.6183 0.5169 0.7829  4 C 1.91-1.96
Ru 0.6183 0.9831 0.2829  4 C 1.91-1.96
Ru 0.6674 0.6177 0.9004  2 C 1.86-1.87
Ru 0.6674 0.8823 0.4004  2 C 1.86-1.87
Ru 0.8171 0.7357 0.4788  3 C 1.90-1.93
Ru 0.8171 0.7643 0.9788  3 C 1.90-1.93
Ru 0.8436 0.6540 0.8076  2 C 1.86-1.87
Ru 0.8436 0.8460 0.3076  2 C 1.86-1.87
Ru 0.9863 0.7005 0.3891  3 C 1.89-1.95
Ru 0.9863 0.7995 0.8891  3 C 1.89-1.95
C 0.0102 0.2170 0.9428  1 O 1.16
C 0.0102 0.2830 0.4428  1 O 1.16
C 0.0162 0.0739 0.7143  1 O 1.17
-- stop --
If someone sends you a document outlining their expectations, and they seem unreasonable. Well, it’s because they are.
So, this is really more about doing work on spec than anything else. If you’re not familiar, spec work or speculative work is ostensibly work done for free in the hopes of getting paid for it. It’s like competing for a prize. If they like it, they pay you. It should be noted AIGA (the American Institute of Graphic Arts) lays a solid foundation stating “AIGA believes that professional designers should be compensated fairly for their work and should negotiate the ownership or use rights of their intellectual and creative property through an engagement with clients. To that end, AIGA strongly encourages designers to enter into client projects with full engagement to show the value of their creative endeavor, and to be aware of all potential risks before entering into speculative work.”
In other words, don’t be an idiot. If it seems too good to be true, it probably is.
An agency a few years back, created a fantastic video. The Toronto-based ad agency known as Zulu Alpha Kilo has this guy going around town asking people to try their goods and services before he considers hiring them and/or paying them.
Now, I don’t know about you, but I would never have the balls to ask a barista to make me a cappuccino, let me drink said cappuccino, and then decide if I want to pay for it. It goes one step further, though. The price on the menu for the cappuccino is, I don’t know, $5, which might be a really good or really bad deal, depending on the café. But, here’s where it gets sticky. If I decide to pay, I obviously am going to want a discount, because I am going to only buy my cappuccinos from that one café. I think it’s actually cappuccini. But, we’re in the US. So, screw it. So, I’m going to exclusively buy my coffee from this one café. That’s right. It’s best drink I’ve ever had, and I want it for half price. Insane, right?
Well, I may have recently gotten an RFP from a real estate group. I’m not going to go into detail. Because, I’m making this up, right? Yeah, we’ll go with that.
So, I thought it would make sense to ask them if people see houses they are interested in buying, and ask to live in the house mortgage— or rent-free for a couple months to try it out? I may have also sent them a youtube link to the Zulu Alpha Kilo video.
What’s the moral of the story? Don’t devalue your work by giving it away for free in the hopes for some sort of big payoff. You’re worth more than that. Save your time and effort AND money. Go buy yourself a lottery ticket. Your odds are practically just as good.